Jack Huntress of HomeBinder: Equity Building is Key to Homeowners’ Hearts
Jack Huntress is founder and CEO of HomeBinder, Burlington, Mass., a centralized home management platform that keeps homeowners connected with mortgage lenders and other authorized professionals. He has a 15-year track record of creating impactful technology solutions for the housing industry. Previously, he co-founded PARCEL, a due diligence reporting platform providing environmental property data, which was acquired by Environmental Data Resources in 2007. As co-chair of MISMO’s Environmental and PCA workgroup, Huntress led XML-based standards for ESA, PCA and seismic reports.
Next to the page, the page also holds materials data =
~~~
A geometry-optimized Ir3Os structure, computed with GGA-PBE.

Calculated values
spin magnetization	0.0	μB/cell
calculated volume	14.5	Å³/atom
ρ	22.0	Mg/m³
formation energy	22	meV per atom
final energy	-9.43	eV per atom
crystal system	monoclinic

Unit cell a=9.0676 b=2.7324 c=4.7399 alpha=90.00 beta=99.90 gamma=90.00
With the nearest neighbours (Å) after each atom.
Space group C2/m (No. 12)
Symmetry-distinct sites (fractional):
Ir (0.0000, 0.0000, 0.0000)  8 Ir 2.73-2.75, 4 Os 2.74
Ir (0.2484, 0.0000, 0.7466)  9 Ir 2.71-2.76, 3 Os 2.72-2.74
Os (0.0000, 0.5000, 0.5000)  10 Ir 2.72-2.74, 2 Os 2.73
~~~

In response to their dwindling refinance volume, mortgage lenders have begun recalibrating their outreach strategies to capture the shift toward purchase and home-equity demand. In this market, lenders with a finely tuned formula for nurturing repeat customers will succeed where others flounder.
However, reengaging customers is notoriously challenging for the mortgage industry. Perhaps that’s due to a misguided urge to connect with potential borrowers about loan products instead of connecting with homeowners about what matters most to them: enjoying their homes and growing their wealth.
Post-close, most homeowners take little interest in actively managing their mortgages. Their priorities lie in feathering the nest and protecting the value of their home. As home equity soars to new heights, a meaningful way for lenders to create a long-lasting connection with homeowners is to meet them where their interests lie: by helping them understand adaptive home value — how their home’s value appreciates over time and how their stewardship, from maintenance to improvements, impacts its worth.
Home value: a curiosity to homeowners
Lenders’ customer retention strategies range from the sublime to the dubious (seasonal gifting, birthday remembrances, persistent email), but the ones that score relationship points deliver value to borrowers and speak unequivocally to their interests. As a data geek, I’ve noticed that nothing captures homeowners’ interest like watching their home value grow. A recent analysis of HomeBinder data found that open rates for emails related to home value were 53%, a spike over the industry standard open rate of 21.6%. That’s because homeowners engage with content that helps them understand their home value and how it changes over time.
As residential property professionals, we sometimes assume consumers’ understanding of topics like home valuation, when in truth most don’t understand how it is derived and why it changes over time. As a result of their limited engagement in home valuation, homeowners become distanced from it until it is time to sell. Nonetheless, homeowners care about home value and there are not a lot of good resources to help them understand and manage it. By solving that problem for them, you can earn a customer for life.
Mortgage lenders with access to tools that facilitate efficient borrower communication and education could leverage these tools to enjoy greater borrower engagement through homeowner-centric communications like actionable maintenance reminders and home value updates.
For example, maintenance reminders motivate borrowers to complete and log home maintenance tasks, while home value updates show how completing these tasks improves their home’s value over time. This ‘action-to-reward’ aspect of adaptive home value can generate lasting borrower engagement by gamifying the homeownership process. These communications are all the more powerful if they contain lender branding and loan originator contact information.
• Unrelated to this article: records of crystals:
=====
Material: Tb5Pr4Nd3
Method: DFT, PBE-GGA
State: optimized geometry

Structure (extended XYZ):
```
12
Lattice="6.310 0.000 0.000 0.007 7.284 0.000 0.007 0.037 8.914" Properties=species:S:1:pos:R:3 pbc="T T T"
Tb 0.000 0.000 0.000
Tb 1.061 1.849 2.971
Tb 2.118 3.667 5.933
Tb 4.206 3.653 2.981
Tb 5.262 5.471 5.943
Pr 1.055 5.464 2.975
Pr 2.103 7.304 5.944
Pr 4.221 0.017 2.970
Pr 5.269 1.857 5.939
Nd 0.004 3.642 0.000
Nd 3.147 1.830 0.007
Nd 3.177 5.490 8.907
```

Calculated values
- Energy relative to the elements: 14 meV/atom
- Spin magnetization: 0.00 μB per atom
- Symmetry: P-1, No. 2


{"formula": "MnAsSe2Cl", "functional": "SCAN", "state": "PBEsol geometry", "lattice": [[-0.505, 3.155, 3.259], [-4.260, 0.795, -1.429], [-1.629, -3.352, 2.992]], "species": ["Se", "Mn", "Cl", "Se", "As"], "frac_coords": [[0.500, 0.000, 0.000], [0.000, 0.000, 0.000], [0.500, 0.500, 0.500], [0.000, 0.500, 0.000], [0.000, 0.000, 0.500]], "e_form_raw_ev_per_fu": 0.989, "polymorph_energy_mev_per_atom": 131}


{"formula": "Mo2AsCl", "functional": "SCAN", "state": "PBEsol geometry", "lattice": [[3.152, 0.000, 0.000], [1.576, 4.400, 0.052], [1.576, 0.520, 5.961]], "species": ["As", "Mo", "Cl", "Mo"], "frac_coords": [[0.500, 0.000, 0.000], [0.719, 0.418, 0.145], [0.000, 0.500, 0.500], [0.281, 0.582, 0.855]], "e_form_raw_ev_per_fu": 0.215, "polymorph_energy_mev_per_atom": 0}


{"formula": "MoAsCl2", "functional": "SCAN", "state": "PBEsol geometry", "lattice": [[4.236, 0.000, 0.000], [-2.118, 4.202, -0.141], [0.000, 2.256, 3.586]], "species": ["Cl", "Mo", "As", "Cl"], "frac_coords": [[0.250, 0.500, 0.250], [0.500, 0.000, 0.500], [0.750, 0.500, 0.750], [0.000, 0.000, 0.000]], "e_form_raw_ev_per_fu": 1.992, "polymorph_energy_mev_per_atom": 728}


{"formula": "Mo2AsCl", "functional": "SCAN", "state": "PBEsol geometry", "lattice": [[-1.702, 1.786, 1.904], [0.273, -4.550, 1.962], [4.808, 1.818, 2.593]], "species": ["Mo", "As", "Cl", "Mo"], "frac_coords": [[0.899, 0.797, 0.919], [0.547, 0.093, 0.666], [0.770, 0.541, 0.263], [0.284, 0.569, 0.652]], "e_form_raw_ev_per_fu": 0.387, "polymorph_energy_mev_per_atom": 43}


{"formula": "MoAsCl2", "functional": "SCAN", "state": "PBEsol geometry", "lattice": [[-0.537, -3.148, 0.392], [2.579, -0.665, -1.805], [4.891, 0.035, 6.973]], "species": ["As", "Mo", "Cl", "Cl"], "frac_coords": [[0.500, 0.500, 0.558], [0.000, 0.000, 0.690], [0.500, 0.500, 0.302], [0.000, 0.000, 0.951]], "e_form_raw_ev_per_fu": -0.919, "polymorph_energy_mev_per_atom": 0}


{"formula": "MoAsCl2", "functional": "SCAN", "state": "PBEsol geometry", "lattice": [[-2.037, -0.542, -1.926], [-0.228, -4.385, 1.475], [-3.359, 4.136, 4.504]], "species": ["Mo", "As", "Cl", "Cl"], "frac_coords": [[0.505, 0.505, 0.009], [0.838, 0.338, 0.676], [0.001, 0.001, 0.003], [0.156, 0.656, 0.311]], "e_form_raw_ev_per_fu": -0.079, "polymorph_energy_mev_per_atom": 210}
=====
How to hook homeowners with adaptive home value education
Homeowners care about the value of their homes because they care about building wealth, and they care about maintaining their homes because that’s where they live. Thus, it follows that homeowners should care about actively managing their home financing. However, they don’t because it is tedious, boring and they do not understand its relationship to wealth building.
Data indicates that lenders can increase customer engagement by helping homeowners connect the dots between wealth building and home financing. When borrowers are primed to think of equity building in similar terms as they do maintenance — as a task that should be monitored and managed — they will be more open to exploring financing options. And if lenders are already top of mind because they are proactively engaging homeowners about equity building, they have already established themselves as experts in the field and will more likely be the first person homeowners contact with home finance management questions.
In conclusion
........
This record from the Alexandria database describes a relaxed structure of Cd2WO2. The functional is GGA+U.

Output
Excess energy over the best structure of this formula in the dataset   0 meV per atom
E   -0.2704 Ry per atom

a b c (Å): 4.1554 4.1554 9.5312
angles (deg): 90.00 90.00 90.00
With the nearest neighbours (Å) after each atom.
Space group I4/mmm (No. 139)
Inequivalent atoms, fractional coordinates:
Cd 0.0000 0.0000 0.1476 [4 per cell]  4 O 2.30
W 0.0000 0.0000 0.5000 [2 per cell]  8 O 3.16, 10 Cd 3.26-3.36
O 0.0000 0.5000 0.2500 [4 per cell]  4 Cd 2.30

* * * * *

This record from Alexandria describes LuB2 after structural relaxation. The functional is PBE.

Results
- DFT total energy: -0.1949 hartree per atom
- Spin magnetization: 0.0 μB per formula unit
- SG: I4/mmm (139)

Unit cell a=2.808 b=2.808 c=4.885 alpha=106.70 beta=106.70 gamma=90.00
Sites, in units of the cell vectors:
B 0.286 0.286 0.573
B 0.714 0.714 0.427
Lu 0.000 0.000 0.000

* * * * *

Density functional theory data (GGA-PBEsol) for LiSiBiO4 after structural relaxation.

abc: 5.0496 5.0496 8.6140
angles: 90.00 90.00 120.00
Last column: nearest neighbours and their distance in Å.
Fractional positions:
Si  0.6667  0.3333  0.5461  4 O 1.61-1.65
Si  0.3333  0.6667  0.0461  4 O 1.61-1.65
Bi  0.0000  0.0000  0.8202  3 O 2.15
Bi  0.0000  0.0000  0.3202  3 O 2.15
O  0.9565  0.6548  0.4812  1 Si 1.65
O  0.6667  0.3333  0.7328  1 Si 1.61
O  0.3452  0.3017  0.4812  1 Si 1.65
O  0.6983  0.0435  0.4812  1 Si 1.65
O  0.6548  0.9565  0.9812  1 Si 1.65
O  0.3333  0.6667  0.2328  1 Si 1.61
O  0.3017  0.3452  0.9812  1 Si 1.65
O  0.0435  0.6983  0.9812  1 Si 1.65
Li  0.6667  0.3333  0.9458  4 O 1.83-1.90
Li  0.3333  0.6667  0.4458  4 O 1.83-1.90

* DFT total energy: -6.812 eV per atom
* raw formation energy: -202.4 kJ per mole of atoms
* space group: No. 159
* total magnetization: 0.000 μB per cell

---

Density functional theory data (GGA-PBEsol) for LiSiBi3O7 after structural relaxation.

abc: 5.1160 8.4273 8.4273
angles: 120.00 90.00 90.00
Last column: nearest neighbours and their distance in Å.
Fractional positions:
Li  0.4734  0.0000  0.0000  3 O 1.98
Li  0.9734  0.0000  0.0000  3 O 1.98
Si  0.3280  0.3333  0.6667  4 O 1.64-1.66
Si  0.8280  0.6667  0.3333  4 O 1.64-1.66
Bi  0.7937  0.2608  0.9036  3 O 2.23-2.27
Bi  0.7937  0.6428  0.7392  3 O 2.23-2.27
Bi  0.7937  0.0964  0.3572  3 O 2.23-2.27
Bi  0.2937  0.9036  0.6428  3 O 2.23-2.27
Bi  0.2937  0.3572  0.2608  3 O 2.23-2.27
Bi  0.2937  0.7392  0.0964  3 O 2.23-2.27
O  0.1790  0.1459  0.9185  1 Li 1.98
O  0.4516  0.4694  0.8728  1 Si 1.66
O  0.4516  0.1272  0.5966  1 Si 1.66
O  0.0078  0.3333  0.6667  1 Si 1.64
O  0.1790  0.7726  0.8541  1 Li 1.98
O  0.4516  0.4034  0.5306  1 Si 1.66
O  0.6790  0.9185  0.7726  1 Li 1.98
O  0.1790  0.0815  0.2274  1 Li 1.98
O  0.9516  0.5966  0.4694  1 Si 1.66
O  0.6790  0.2274  0.1459  1 Li 1.98
O  0.5078  0.6667  0.3333  1 Si 1.64
O  0.9516  0.8728  0.4034  1 Si 1.66
........
Lenders who deliver value post-close are more likely to earn customer engagement that leads to repeat and referral business. Sharing adaptive home value gives lenders ongoing opportunities to provide customers ongoing financial education and support — a selling point particularly for customers with little to no homeownership experience. By initiating recurring engagement regarding a homeowner’s adaptive home value and suggesting actions they could take to improve it, lenders earn customer trust and remain top of mind until the homeowner is ready for their next transaction.
There is ample opportunity for today’s lenders to empower their customers as better stewards of their homes. By helping homeowners track and understand how maintaining their home’s health affects home value over time, lenders establish themselves as reliable subject-matter experts that have earned long-lasting customer loyalty.
(Views expressed in this article do not necessarily reflect policy of the Mortgage Bankers Association, nor do they connote an MBA endorsement of a specific company, product or service. MBA NewsLink welcomes your submissions. Inquiries can be sent to Mike Sorohan, editor, at msorohan@mba.org; or Michael Tucker, editorial manager, at mtucker@mba.org.)